Metrics and Evaluation

This lesson covers latency and throughput, two metrics used to measure computer performance.


  • Latency - the total time it takes for an operation to complete, from start to finish.
  • Throughput - not the inverse of latency; because operations can take place concurrently within a pipeline, this can be thought of as the number of operations completed per unit measure of time.

Below is a high-level representation of this concept.


Comparing performance

Knowing how to measure performance, we can now compare the performance of two systems using our metrics. We want to be able to make a definitive statement about the speedup of a system in comparison to another system, basically stating that system x is faster than system y. We can compute this with both latency and throughput, however, our equations are slightly different. Below is an image showing us the equations for computing speedup using our two metrics.



A speedup value larger than 1 means we have improved performance. With improved performance, we achieve higher throughput and shorter execution time. A speedup less than 1 means that we have worse performance. When computing speedup, we need to remember that performance is directly proportional to throughput and performance has an inverse relationship with latency.


Measuring performance

What workload do we use to measure performance of different systems? We can't use an actual user workload because:

  • Many different users use computers in many different ways with many different programs.
  • One workload will not be representative of all users.
  • How are we supposed to acquire the workload data?

In order to solve this issue, we use benchmark workloads.


Benchmarks are programs and input data that users and organizations have agreed upon for use in performance measurements. Usually, we don't have just one benchmark program but a benchmark suite consisting of multiple programs and input data. Each program within a benchmark suite is representative of a type of application.

Types of benchmarks

So what types of benchmarks are commonly used to measure performance? We have:

  • Real applications

    • Most representative of real workloads.
    • Also the most difficult to setup on new machines. Our testing environment likely doesn't have an operating system, hardware, graphics processors, etc.
  • Kernels

== These crystal structures were left in the text by mistake ==
┌──
(1)
This entry pairs a crystal structure of PaFeCuSi2 with its calculated powder X-ray diffraction pattern. Radiation: Cu Kα (λ = 1.5418 Å). Structure: a crystal structure in Alexandria, relaxed with PBE.

Crystal structure
```
data_PaFeCuSi2
_cell_length_a 3.9720
_cell_length_b 3.9720
_cell_length_c 9.8066
_cell_angle_alpha 90.00
_cell_angle_beta 90.00
_cell_angle_gamma 90.00
_symmetry_space_group_name_H-M 'I -4 m 2'
_symmetry_Int_Tables_number 119
_symmetry_space_group_name_Hall 'I -4 -2'
loop_
_atom_site_label
_atom_site_type_symbol
_atom_site_fract_x
_atom_site_fract_y
_atom_site_fract_z
Pa1 Pa 0.0000 0.0000 0.0000
Fe1 Fe 0.0000 0.5000 0.7500
Cu1 Cu 0.0000 0.5000 0.2500
Si1 Si 0.0000 0.0000 0.3781
```

Largest 6 diffraction maxima, by angle, 2θ = 15–90°:
| hkl | 2θ (°) | intensity |
| --- | --- | --- |
| 1 0 1 | 24.17 | 76.2 |
| 1 0 3 | 35.57 | 60.4 |
| 1 1 2 | 36.88 | 100.0 |
| 2 0 0 | 45.68 | 36.1 |
| 1 0 5 | 52.00 | 21.7 |
| 2 1 3 | 59.20 | 28.4 |

(2)
This entry pairs a crystal structure of FeCuPb with its calculated powder X-ray diffraction pattern. Radiation: Cu Kα (λ = 1.5418 Å). Structure: a crystal structure in Alexandria, relaxed with PBE.

Crystal structure
```
data_FeCuPb
_cell_length_a 3.1212
_cell_length_b 3.4231
_cell_length_c 9.7891
_cell_angle_alpha 90.00
_cell_angle_beta 90.00
_cell_angle_gamma 90.00
_symmetry_space_group_name_H-M 'I m m 2'
_symmetry_Int_Tables_number 44
loop_
_symmetry_equiv_pos_as_xyz
'x,y,z'
'-x,-y,z'
'-x,y,z'
'x,-y,z'
'x+1/2,y+1/2,z+1/2'
'-x+1/2,-y+1/2,z+1/2'
'-x+1/2,y+1/2,z+1/2'
'x+1/2,-y+1/2,z+1/2'
loop_
_atom_site_label
_atom_site_type_symbol
_atom_site_fract_x
_atom_site_fract_y
_atom_site_fract_z
Fe1 Fe 0.0000 0.0000 0.0000
Cu1 Cu 0.0000 0.0000 0.3885
Pb1 Pb 0.0000 0.0000 0.6945
```

Largest 6 diffraction maxima, by angle, 2θ = 15–90°:
| hkl | 2θ (°) | intensity |
| --- | --- | --- |
| 0 1 1 | 27.61 | 56.9 |
| 1 0 1 | 30.05 | 46.2 |
| 0 1 3 | 38.10 | 96.6 |
| 1 1 0 | 39.05 | 100.0 |
| 1 0 3 | 39.97 | 84.5 |
| 1 1 4 | 54.68 | 35.4 |

=====

Simulated XRD peak list of Al5C7 for CuKα, from a DFT-relaxed cell (GGA-PBE, Alexandria).

Peak list (10 most intense, 5 to 70 degrees two-theta, most intense first)
2θ 31.9, I = 100, hkl 2 1 1; 2θ 39.5, I = 58, hkl 3 0 1; 2θ 22.1, I = 50, hkl 1 0 1; 2θ 32.4, I = 48, hkl 2 2 0; 2θ 49.4, I = 40, hkl 3 3 0; 2θ 64.2, I = 39, hkl 3 3 2; 2θ 38.3, I = 36, hkl 0 0 2; 2θ 52.0, I = 26, hkl 4 1 1; 2θ 46.1, I = 24, hkl 3 2 1; 2θ 45.0, I = 13, hkl 2 0 2

Structure:
Cell lengths 7.8214, 7.8214, 4.7039 Å; angles 90.00, 90.00, 90.00 degrees
Space group I4mm (No. 107)
Unique sites:
Al 0.0000 0.0000 0.0000 x2
Al 0.1729 0.1729 0.4443 x8
C 0.0000 0.0000 0.6024 x2
C 0.0000 0.3683 0.3961 x8
C 0.0000 0.5000 0.1512 x4

=====

This entry pairs a crystal structure of Sr5Ca3Mn7FeO24 with its computed powder diffractogram. Radiation: Cu Kα X-rays. Structure: a crystal structure in Alexandria, relaxed with GGA+U.
└──

    • The most time consuming portions of an application, usually a loop of some sort. We've isolated these processing intensive sections of code to test our machine. Usually good for testing prototypes.
  • Synthetic benchmarks

    • Behave similar to kernels but are simpler to compile. We utilize these benchmarks when testing early prototypes of a machine. Usually good for design studies.
  • Peak performance

(Materials data from another source follow)
'''
Computed XRD peak list of Li3Fe2Si2O8 for Cu Kα (λ = 1.5418 Å), from a DFT-relaxed cell (PBE+U, Alexandria).

Atomic structure:
```
data_Li3Fe2Si2O8
_chemical_formula_sum 'Li6 Fe4 Si4 O16'
_space_group_name_H-M_alt 'P 1 21 1'
_space_group_IT_number 4
_cell_length_a 5.0513
_cell_length_b 11.0275
_cell_length_c 6.2067
_cell_angle_alpha 90.00
_cell_angle_beta 90.56
_cell_angle_gamma 90.00
loop_
_space_group_symop_operation_xyz
'x,y,z'
'-x,y+1/2,-z'
loop_
_atom_site_label
_atom_site_fract_x
_atom_site_fract_y
_atom_site_fract_z
_atom_site_occupancy
Li1 0.0642 0.0000 0.2475 1
Li2 0.0790 0.9934 0.7387 1
Li3 0.4323 0.8276 0.2714 1
Fe1 0.0736 0.2503 0.4788 1
Fe2 0.4313 0.5839 0.0111 1
Si1 0.0744 0.2528 0.9851 1
Si2 0.4193 0.5838 0.5066 1
O1 0.0026 0.3292 0.1983 1
O2 0.0364 0.8224 0.2319 1
O3 0.0518 0.6104 0.0049 1
O4 0.0936 0.5768 0.5065 1
O5 0.3987 0.2349 0.9654 1
O6 0.4719 0.0116 0.2672 1
O7 0.4727 0.0149 0.7161 1
O8 0.4750 0.2227 0.4925 1
```

Peak list (10 most intense, 5 to 70 degrees two-theta, sorted by position)
hkl	d [Å]	2θ/deg	Rel. int.
0 2 0	5.514	16.1	63
1 2 0	3.724	23.9	100
0 0 2	3.103	28.8	39
1 3 0	2.972	30.1	28
0 4 0	2.757	32.5	25
0 2 2	2.704	33.1	52
2 0 0	2.525	35.6	47
0 6 2	1.581	58.4	27
3 3 0	1.531	60.5	16
3 3 -2	1.378	68.0	17

----------

Starting from DFT lattice parameters and positions (PBE), the powder diffraction line list of HoAgSn2 was simulated for Cu Kα, 1.54184 Å.
Neutral-atom scattering factors, no anomalous dispersion.

The 10 most intense peaks (10° ≤ 2θ ≤ 90°), by angle:
| 2theta | I/Imax | h k l |
| --- | --- | --- |
| 19.08 | 2 | 1 0 0 |
| 34.11 | 100 | 1 1 1 |
| 38.72 | 35 | 2 0 0 |
| 41.27 | 15 | 0 0 2 |
| 55.92 | 12 | 2 2 0 |
| 57.87 | 22 | 2 0 2 |
| 67.15 | 28 | 3 1 1 |
| 70.65 | 12 | 1 1 3 |
| 71.82 | 12 | 2 2 2 |
| 83.07 | 4 | 4 0 0 |

Structure:
a = 4.651 Å, b = 4.651 Å, c = 4.375 Å
α = 90.00°, β = 90.00°, γ = 90.00°
Fractional coordinates of all 4 atoms:
1 Ho 0.000 0.000 0.000
2 Ag 0.500 0.500 0.000
3 Sn 0.000 0.500 0.500
4 Sn 0.500 0.000 0.500

----------

No. 1
Simulated X-ray diffraction stick pattern of Rb2AgSeBr6 for Cu Ka, from a crystal structure in Alexandria, relaxed with PBE.
Kinematic intensities with the Lorentz-polarization factor, no thermal factor.

Peak list (10 most intense, 15 to 90 degrees two-theta, in order of falling intensity)
| two_theta | I/Imax |
| --- | --- |
| 32.7 | 100.0 |
| 27.8 | 91.3 |
| 45.9 | 71.2 |
| 31.4 | 53.7 |
| 57.5 | 35.3 |
| 46.9 | 34.8 |
| 22.5 | 31.3 |
| 16.2 | 27.2 |
| 55.4 | 24.0 |
| 86.4 | 21.8 |

```
Rb2AgSeBr6
1.0
-3.8772 3.8772 5.7056
3.8772 -3.8772 5.7056
3.8772 3.8772 -5.7056
Rb Ag Se Br
2 1 1 6
direct
0.2500 0.7500 0.5000
0.7500 0.2500 0.5000
0.0000 0.0000 0.0000
0.5000 0.5000 0.0000
0.2284 0.2284 0.0000
0.2616 0.2616 0.5233
0.2616 0.7383 0.0000
0.7383 0.2616 0.0000
0.7383 0.7383 0.4767
0.7716 0.7716 0.0000
```

No. 2
Simulated X-ray diffraction stick pattern of PrCd2Hg2 for Cu Ka, from a crystal structure in Alexandria, relaxed with PBE.
'''
(Back to the piece)

    • Performance that's not based on running against actual code. The theoretical highest number of instructions per second. Usually good for marketing.

Benchmark standard

So how are benchmark suites created? Who makes them and what are the standards? There exist standards organizations that receive input from manufacturers, user groups, and experts in academia and these organizations produce standard benchmark suites. Some well known standard benchmark suites are:

  • TPC - Benchmarks used for databases, web servers, data mining, and other transaction processing. [1]
  • EEMBC - Used for embedded processing. [2]
  • SPEC - Used to evaluate engineering work stations and raw processors. SPEC encompasses a large set of workloads, trying to cover a variety of uses for processors in high performance systems. A breakdown of these workloads is in the image below. [3]


Summarizing performance

To summarize performance, we are looking for the average execution time. A demonstration on how to calculate this is shown below. We should refrain from averaging the speedups for each application tested - averaging ratios will not provide useable data to summarize performance. In order to acquire the average speedup, we need to use the geometric mean for the execution times of each computer.


Iron Law of performance

Processor time (CPU time) can be expressed as: (instructions/program) * (cycles/instruction) * (seconds/cycles)

So why do we think about these components of processor time instead of just measuring processor time directly? These three components allow us to think about the different aspects of computer architecture.

**These crystal structures were left in the piece by mistake**
........
(1)
Ti2VSe2Cl4: calculated X-ray diffraction stick pattern (copper Kα), based on DFT lattice parameters and positions (PBE).
Kinematic intensities with the Lorentz-polarization factor, no thermal factor.

Structural model:
```
data_Ti2VSe2Cl4
_chemical_formula_sum 'Ti2 V1 Se2 Cl4'
_symmetry_space_group_name_H-M 'P 3 m 1'
_symmetry_Int_Tables_number 156
_cell_length_a 3.2996
_cell_length_b 3.2996
_cell_length_c 21.2910
_cell_angle_alpha 90.00
_cell_angle_beta 90.00
_cell_angle_gamma 120.00
loop_
_symmetry_equiv_pos_as_xyz
'x,y,z'
'-y,x-y,z'
'-x+y,-x,z'
'-y,-x,z'
'-x+y,y,z'
'x,x-y,z'
loop_
_atom_site_label
_atom_site_fract_x
_atom_site_fract_y
_atom_site_fract_z
Ti1 0.0000 0.0000 0.0000
Ti2 0.3333 0.6667 0.3255
V1 0.3333 0.6667 0.6713
Se1 0.0000 0.0000 0.5956
Se2 0.0000 0.0000 0.7469
Cl1 0.0000 0.0000 0.2514
Cl2 0.0000 0.0000 0.3994
Cl3 0.3333 0.6667 0.0741
Cl4 0.3333 0.6667 0.9262
```

Top 10 peaks for 2θ from 15° to 90°, by intensity:
- 2.373 Å, rel. 1000, hkl 1 0 5
- 2.858 Å, rel. 905, hkl 1 0 0
- 1.948 Å, rel. 721, hkl 1 0 8
- 1.650 Å, rel. 524, hkl 1 1 0
- 2.226 Å, rel. 489, hkl 0 1 6
- 2.083 Å, rel. 444, hkl 0 1 7
- 2.518 Å, rel. 288, hkl 0 1 4
- 2.651 Å, rel. 242, hkl 1 0 3
- 2.832 Å, rel. 238, hkl 0 1 1
- 1.208 Å, rel. 230, hkl 1 1 12

(2)
KHoPb2F8: calculated X-ray diffraction stick pattern (copper Kα), based on DFT lattice parameters and positions (PBE).
Kinematic intensities with the Lorentz-polarization factor, no thermal factor.

Structural model:
```
data_KHoPb2F8
_chemical_formula_sum 'K1 Ho1 Pb2 F8'
_symmetry_space_group_name_H-M 'P m m m'
_symmetry_Int_Tables_number 47
_cell_length_a 4.090
_cell_length_b 5.980
_cell_length_c 8.293
_cell_angle_alpha 90.00
_cell_angle_beta 90.00
_cell_angle_gamma 90.00
loop_
_symmetry_equiv_pos_as_xyz
'x,y,z'
'-x,-y,-z'
'-x,-y,z'
'x,y,-z'
'x,-y,-z'
'-x,y,z'
'-x,y,-z'
'x,-y,z'
loop_
_atom_site_label
_atom_site_fract_x
_atom_site_fract_y
_atom_site_fract_z
K1 0.000 0.000 0.000
Ho1 0.000 0.000 0.500
Pb1 0.500 0.500 0.244
F1 0.000 0.238 0.289
F2 0.500 0.205 0.500
F3 0.500 0.276 0.000
```

Top 10 peaks for 2θ from 15° to 90°, by intensity:
- 3.407 Å, rel. 1000, hkl 0 1 2
- 3.376 Å, rel. 987, hkl 1 1 0
- 2.086 Å, rel. 778, hkl 1 2 2
- 2.912 Å, rel. 375, hkl 1 0 2
- 1.753 Å, rel. 325, hkl 2 1 2
- 1.767 Å, rel. 310, hkl 1 1 4
- 2.990 Å, rel. 201, hkl 0 2 0
- 2.045 Å, rel. 192, hkl 2 0 0
- 2.073 Å, rel. 181, hkl 0 0 4
- 1.796 Å, rel. 168, hkl 0 3 2


This entry pairs a crystal structure of V7Pt16Rh6 with its calculated powder diffraction line list. Radiation: Cu Kα (weighted mean of Kα1 and Kα2). Structure: a PBE-relaxed structure.
Peak positions follow from Bragg's law for the DFT cell and can differ from measured ones.

Largest 8 diffraction maxima, in order of falling intensity, 2θ from 10° to 90°:
two_theta	I_rel
42.02	100
38.46	76
29.37	47
44.04	28
78.19	23
74.40	16
65.07	15
70.54	15

Cell: 12.163 12.163 12.163 Å, 90.00 90.00 90.00°
Space group Fm-3m (No. 225)
Symmetry-distinct sites (fractional):
........

  • (instructions/program) - influenced by the algorithm used to create the program, the compiler used to interpret and generate the program, and the instruction set being used.
  • (cycles/instruction) - influenced by the instruction set being used, and the processor design.
  • (seconds/cycle) - influenced by the processor design, circuit design, and transistor physics.

Computer architecture primarily focuses on instruction set and processor design, and good designs of these two aspects attempts to balance their effects on CPU time.


Iron Law for unequal instruction times

It's pretty simple to calculate CPU times when we assume that all instructions for a program will take the same amount of cycles to execute. This isn't always the case, however. We need to be able to sum all the cycles for each type of instruction before we multiply this with our time per cycle. Below is a representation of this concept, showing us how to calculate a more realistic CPU time.


Below is an example problem in which we calculate the sum of cycles for a program in order to determine the CPU time.


Amdahl's Law

This law is useful when we need to calculate the overall speedup of the entire program, but we only enhanced a fraction of the program. Below is an image that attempts to explain the equation for Amdahl's Law, a description of each variable in the equation is provided:

  • (1 - frac_enh) - the fraction of the program that wasn't enhanced.
  • frac_enh - the fraction of the program that was enhanced.
  • speedup_enh - the speedup achieved due to the enhancement.

It's very important to understand that frac_enh is a percentage of the original execution time that is affected by the enhancement.



It's important to aim for enhancements that achieve a speedup on a larger percentage of execution time for a program. This is demonstrated mathematically below.


Below is an example of how to use Amdahl's Law to compare multiple possible improvements.


Lhadma's Law

This law is jokingly used to express the opposite of Amdahl's Law. While Amdahl's Law says to optimize for the common case, Lhadma's warns us that we should avoid attempting to optimize too much at the expense of other parts of our performance. An example is provided below.


Diminishing returns

This concept covers the idea that as computer architects, we need to continuously review what needs to be enhanced within a system instead of continuously enhancing the same portion of a system. This concept stems from Amdahl's Law, as it describes that, eventually, the enhanced portion of a system will become smaller as we apply enhancements across generations. We will achieve a diminished speedup if we continue to enhance the same portion of the system. We need to continually reassess what is the common case when conducting our enhancements. Below is a high level representation of this idea.



  4. Lesson 2 Notes